Thursday, September 26, 2013

Symbols in "Masque..."

As we learned today, "The Masque of the Red Death" is chock full of symbols.  Here are the ones you came up with:
colors (pick one)
costumes and masks
dreams (performers)
gates welded shut
light from hall
limited view of rooms
Red Death (disease)
Red Death costume

These crystal structures were left in the page by mistake:
# 1
The following is a simulated powder diffraction line list of SrHo2O4. It was derived from DFT lattice parameters and positions (GGA-PBE), using Cu Kα.
Lines closer than 0.1° are merged.

Largest 6 diffraction maxima, in order of rising 2θ, 2θ from 10° to 80°:
Position (°2θ)	I_rel	(hkl)
29.90	48.9	0 0 4
30.44	100.0	3 0 2
31.45	88.9	1 1 2
31.62	41.8	2 1 0
44.07	42.0	2 1 4
62.99	26.1	3 2 2

abc: 10.1153 3.4138 11.9533
angles: 90.00 90.00 90.00
Element x y z (fractional)
Sr 0.2474 0.2500 0.1492
Sr 0.2526 0.7500 0.6492
Sr 0.7474 0.2500 0.3508
Sr 0.7526 0.7500 0.8508
Ho 0.0770 0.2500 0.3879
Ho 0.0767 0.2500 0.8894
Ho 0.4233 0.7500 0.3894
Ho 0.4230 0.7500 0.8879
Ho 0.5770 0.2500 0.1121
Ho 0.5767 0.2500 0.6106
Ho 0.9233 0.7500 0.1106
Ho 0.9230 0.7500 0.6121
O 0.0144 0.7500 0.7838
O 0.0740 0.2500 0.5772
O 0.1249 0.7500 0.0195
O 0.2117 0.7500 0.3259
O 0.2883 0.2500 0.8259
O 0.3751 0.2500 0.5195
O 0.4260 0.7500 0.0772
O 0.4856 0.2500 0.2838
O 0.5144 0.7500 0.7162
O 0.5740 0.2500 0.9228
O 0.6249 0.7500 0.4805
O 0.7117 0.7500 0.1741
O 0.7883 0.2500 0.6741
O 0.8751 0.2500 0.9805
O 0.9260 0.7500 0.4228
O 0.9856 0.2500 0.2162

# 2
The following is a simulated powder diffraction line list of Er2Ti3Si4. It was derived from DFT lattice parameters and positions (GGA-PBE), using Cu Kα.
Lines closer than 0.1° are merged.

Largest 6 diffraction maxima, in order of rising 2θ, 2θ from 10° to 80°:
Position (°2θ)	I_rel	(hkl)
19.15	42.5	1 1 1
31.69	42.3	2 1 2
35.39	100.0	2 1 3
36.87	67.5	2 2 1
39.36	62.8	1 1 5
41.02	85.7	3 0 2

abc: 7.0220 7.0220 12.8997
angles: 90.00 90.00 90.00
Element x y z (fractional)
Er 0.0022 0.3413 0.0335
Er 0.1587 0.5022 0.2835
Er 0.3413 0.0022 0.9665
Er 0.4978 0.8413 0.2165
Er 0.5022 0.1587 0.7165
Er 0.6587 0.9978 0.4665
Er 0.8413 0.4978 0.7835
Er 0.9978 0.6587 0.5335
Ti 0.0076 0.1514 0.6243
Ti 0.1514 0.0076 0.3757
Ti 0.1729 0.8271 0.7500
Ti 0.3271 0.3271 0.5000
Ti 0.3486 0.5076 0.8743
Ti 0.4924 0.6514 0.6257
Ti 0.5076 0.3486 0.1257
Ti 0.6514 0.4924 0.3743
Ti 0.6729 0.6729 0.0000
Ti 0.8271 0.1729 0.2500
Ti 0.8486 0.9924 0.8757
Ti 0.9924 0.8486 0.1243
Si 0.0469 0.7091 0.9354
Si 0.1319 0.2032 0.8164
Si 0.2032 0.1319 0.1836
Si 0.2091 0.4531 0.6854
Si 0.2909 0.9531 0.5646
Si 0.2968 0.6319 0.0664
Si 0.3681 0.7032 0.4336
Si 0.4531 0.2091 0.3146
Si 0.5469 0.7909 0.8146
Si 0.6319 0.2968 0.9336
Si 0.7032 0.3681 0.5664
Si 0.7091 0.0469 0.0646
Si 0.7909 0.5469 0.1854
Si 0.7968 0.8681 0.6836
Si 0.8681 0.7968 0.3164
Si 0.9531 0.2909 0.4354

# 3
The following is a simulated powder diffraction line list of Ho2Ti12Cu9O36. It was derived from DFT lattice parameters and positions (GGA-PBE), using Cu Kα.
Lines closer than 0.1° are merged.

Largest 6 diffraction maxima, in order of rising 2θ, 2θ from 10° to 80°:
Position (°2θ)	I_rel	(hkl)
34.12	100.0	0 2 2
38.29	9.0	3 -1 2
42.12	9.6	0 4 1
49.02	27.5	4 0 2
61.06	36.4	2 0 4
61.13	11.9	6 0 0

abc: 10.5040 10.5040 6.4460
angles: 90.00 90.00 120.00
Element x y z (fractional)
Ho 0.3333 0.6667 0.3288
End of the crystal structures:

For homework, choose three of your favorite symbols above.  Brainstorm a list of possible meanings they could have outside of the text.  For example, the tripods holding the braziers could represent three stages of life, the three fates from Greek mythology, or could be an allusion to the Holy Trinity (Father, Son, Holy Spirit).  See how many connections you can make to the symbols.

Wednesday, September 25, 2013

Still sick. This stinks.

I managed to get everybody's Call of Cthulhu essay graded. Good for me!
Wednesday you will get a writer's workshop day to revise your papers.  Read over your comments and respond to any you are unsure about. Feel free to talk to people in your group or others in the class (especially if they got two blocks higher than you on an area of the rubric).

Most common mistakes:
1. Using "I" or "you." This is bad, just don't do it.  Changing one's wording away from these pronouns automatically makes the paper sound more formal.
2. Vague or erroneous examples from the text. Make sure you get characters' names spelled right, folks!
3. Language is too informal. This goes along with number one.  Use specific, sophisticated word choice in your natural voice. Also, don't repeat the same words over and over (eg. "creepy").

Oh, and if you don't have a graded rubric in your drive [Yourname Cthulhu Rubric], it means one of two things:

1. You're new to the class (Hi, Yasmine!)
2. You're one of the four people whose papers are in various stages of "I-didn't-do-it." We can talk with your parents about other options if you aren't going to do the work (which means you will also be removed from ELP). In other words, get to work, people!

Monday, September 23, 2013

"Masque of the Red Death" assignments

Here's the plan, folks:

9/23 - After reading the first four paragraphs, draw a blueprint (bird's-eye view) of what Prospero's party rooms would look like.  This is an all-or-nothing three-point Classwork assignment.  If your plan incorporates the details we know about the rooms, you get credit.  If you don't include the elements Poe describes, you will have to redo it.  I'm looking for:
Lighting (the braziers in the hallway)

Because we need to talk about the setting Tuesday, you will lose 1 point of credit if it's late.

If you would rather write than draw, describe how you would build the sets for each room if you were putting on a play or shooting a video. Write enough so that you include Poe's details, but understandable to the average sixth-grader.

9/24 - I'm home sick.  Well, that's just great  >:P
1.  Share out floor plans with people at your table.  Then do a brief 2-minute gallery walk to check out how other people designed the rooms.

2. Read the story aloud as a class.  I don't care if the sub reads it, or if the shortest person who wants to read aloud does it.  Either way this is some pretty chewy prose, so give everybody a break, OK?

3. As a class, discuss what might be the THEME (lessonaboutlife) of the story.  Come up with three possible ideas for a theme, then think about evidence for each.  As a class, someone needs to post your three ideas for the theme and the evidence of the best theme on the blog.  Just add a comment to this post!  You will probably have to sign in under a account.  Sign it "Group 1" if you normally start the day withe me, or "Group 2" if you normally start with Oberheu.

Monday, September 2, 2013

Happy Labor Day!

Tuesday it's back to work!  Complete these in order:

1. Read "The Call of Cthulhu" Part II: The Tale of Inspector Legrasse (read below if you don't want to have to find the selection in the full text link).  I will try to get the audio cued up for the substitute, but I'm sure one of you can find the link if there's a problem.  Part 2 starts at 00:19:30.  Stop the audio at Part III so you have time to work.

2. Exit Ticket: Write a diary entry from the point of view of either Inspector Legrasse, Prof. Angell or the Narrator.  Explain what "you" think is REALLY going on with the cultists in the swamp.
Use the description of the idol found by Legrasse to draw or sculpt your own version of what Cthulhu should look like.  Use the detailed description from Part 2.

3. Work on your "Call of Cthulhu" writing assignment (see post from last Friday) or your Cover Letter.

I will be online periodically to check emails, so if you have a question send it to:

[Crystal structures that have nothing to do with the article]
~~~
# 1
Calculated X-ray powder pattern of Np3Sn for Cu Kα X-rays, from a crystal structure in Alexandria, relaxed with PBE.
Kinematic intensities with the Lorentz-polarization factor, no thermal factor.

Atomic structure:
```
data_Np3Sn
_cell_length_a 5.6825
_cell_length_b 5.6825
_cell_length_c 5.6825
_cell_angle_alpha 133.09
_cell_angle_beta 133.09
_cell_angle_gamma 68.51
_space_group_name_H-M_alt 'P 1'
_space_group_IT_number 1
loop_
_space_group_symop_operation_xyz
'x,y,z'
loop_
_atom_site_label
_atom_site_type_symbol
_atom_site_fract_x
_atom_site_fract_y
_atom_site_fract_z
Np1 Np 0.0000 0.0000 0.0000
Np2 Np 0.2500 0.7500 0.5000
Np3 Np 0.7500 0.2500 0.5000
Sn1 Sn 0.5000 0.5000 0.0000
```

Main lines, in order of rising 2θ (10° ≤ 2θ ≤ 80°):
- 2θ = 33.9°, intensity 100
- 2θ = 38.3°, intensity 18
- 2θ = 39.9°, intensity 32
- 2θ = 56.5°, intensity 24
- 2θ = 66.5°, intensity 15
- 2θ = 68.6°, intensity 27

***

# 2
Calculated X-ray powder pattern of Ce5CdGe3 for Cu Kα X-rays, from a crystal structure in Alexandria, relaxed with PBE.
Kinematic intensities with the Lorentz-polarization factor, no thermal factor.

Atomic structure:
```
data_Ce5CdGe3
_cell_length_a 9.0848
_cell_length_b 9.0848
_cell_length_c 6.2740
_cell_angle_alpha 90.00
_cell_angle_beta 90.00
_cell_angle_gamma 120.00
_space_group_name_H-M_alt 'P 1'
_space_group_IT_number 1
loop_
_space_group_symop_operation_xyz
'x,y,z'
loop_
_atom_site_label
_atom_site_type_symbol
_atom_site_fract_x
_atom_site_fract_y
_atom_site_fract_z
Ce1 Ce 0.0000 0.3093 0.2500
Ce2 Ce 0.0000 0.6907 0.7500
Ce3 Ce 0.3093 0.0000 0.2500
Ce4 Ce 0.3093 0.3093 0.7500
Ce5 Ce 0.3333 0.6667 0.0000
Ce6 Ce 0.3333 0.6667 0.5000
Ce7 Ce 0.6667 0.3333 0.0000
Ce8 Ce 0.6667 0.3333 0.5000
Ce9 Ce 0.6907 0.0000 0.7500
Ce10 Ce 0.6907 0.6907 0.2500
Cd1 Cd 0.0000 0.0000 0.0000
Cd2 Cd 0.0000 0.0000 0.5000
Ge1 Ge 0.0000 0.3563 0.7500
Ge2 Ge 0.0000 0.6437 0.2500
Ge3 Ge 0.3563 0.0000 0.7500
Ge4 Ge 0.3563 0.3563 0.2500
Ge5 Ge 0.6437 0.0000 0.2500
Ge6 Ge 0.6437 0.6437 0.7500
```

Main lines, in order of rising 2θ (10° ≤ 2θ ≤ 80°):
- 2θ = 34.2°, intensity 100
- 2θ = 34.8°, intensity 97
- 2θ = 49.5°, intensity 33
- 2θ = 61.2°, intensity 15
- 2θ = 61.6°, intensity 32
- 2θ = 69.9°, intensity 24

***

# 3
Calculated X-ray powder pattern of MnMo for Cu Kα X-rays, from a crystal structure in Alexandria, relaxed with PBE.
Kinematic intensities with the Lorentz-polarization factor, no thermal factor.

Atomic structure:
```
data_MnMo
_cell_length_a 4.2686
_cell_length_b 4.2686
_cell_length_c 4.2686
_cell_angle_alpha 60.00
_cell_angle_beta 60.00
_cell_angle_gamma 60.00
_space_group_name_H-M_alt 'P 1'
_space_group_IT_number 1
loop_
_space_group_symop_operation_xyz
'x,y,z'
loop_
_atom_site_label
_atom_site_type_symbol
_atom_site_fract_x
_atom_site_fract_y
_atom_site_fract_z
Mn1 Mn 0.1250 0.1250 0.1250
Mn2 Mn 0.8750 0.8750 0.8750
Mo1 Mo 0.3750 0.3750 0.3750
Mo2 Mo 0.6250 0.6250 0.6250
```

Main lines, in order of rising 2θ (10° ≤ 2θ ≤ 80°):
~~~
[The article goes on]

I promise to reply to everybody.